It used to be that you had to rely on the advice of an insurance agent (passed down from generation to generation) to buy life insurance, but the 21st century has changed all that. Now you can do your own research online and learn just about everything you need to know about the type of insurance that is right for you and your family. When it comes to purchasing simple, straightforward term life insurance, most educated consumers can choose for themselves. What they might not realize is that rates for term life are at historic lows right now so they will probably end up paying even less than they thought for this cheapest type of life insurance. But if you think you have more complex financial issues, you should invest the time to discuss your needs with a certified financial planner. Most people who are looking to save on their life insurance will want to do their research online and will want to learn about the factors that will reward them with the lowest rates. One of the best ways to save on your coverage is to simply do your best to maintain good health. Insurers are risk-averse, meaning they avoid customers with chronic health problems or who might be more likely to die prematurely. Insurance carriers might insure those individuals but they will place them in higher-risk classes and charge higher premiums. The best rates are reserved for the healthiest people.
Finding great life insurance resources is much easier than it ever has been. People who are looking for advice have thousands of online sources that they can consult; a lot of the information is literally at your fingertips. Use the free tools that we provide here to compare your options, find cheap rates, and get the kind of protection that you need to protect your family’s financial future.
'''
# 1
VASP calculation (PBE) on a relaxed ScCd2Re crystal.

abc: 2.8726 4.5563 5.6947
angles: 90.00 90.41 90.00
Closest atoms and distances in Å follow each position.
Space group P2/m (No. 10)
Asymmetric unit:
Sc 0.0000 0.0000 0.0000 (multiplicity 1)  2 Re 2.85, 2 Sc 2.87, 8 Cd 3.07
Cd 0.4990 0.5000 0.7415 (multiplicity 2)  4 Cd 2.75-2.94, 4 Re 3.02-3.03, 4 Sc 3.07
Re 0.0000 0.0000 0.5000 (multiplicity 1)  2 Sc 2.85, 2 Re 2.87, 8 Cd 3.02-3.03

## Properties
- crystal system = monoclinic
- offset from the most stable computed form (eV per formula unit) = 0.22



# 2
VASP calculation (PBE) on a relaxed Sc2CdRe crystal.

abc: 10.2904 3.7162 4.5088
angles: 90.00 115.83 90.00
Closest atoms and distances in Å follow each position.
Space group Cm (No. 8)
Asymmetric unit:
Sc 0.0000 0.0000 0.0000 (multiplicity 2)  2 Re 2.82, 4 Cd 2.93, 4 Sc 3.10-3.11
Sc 0.2318 0.0000 0.7305 (multiplicity 2)  4 Re 2.92, 4 Cd 3.04-3.17, 4 Sc 3.10-3.11
Cd 0.4718 0.0000 0.4717 (multiplicity 2)  2 Re 2.92, 8 Sc 2.93-3.17
Re 0.2284 0.5000 0.2268 (multiplicity 2)  6 Sc 2.82-2.92, 2 Cd 2.92

## Properties
- crystal system = monoclinic



# 3
VASP calculation (PBE) on a relaxed Sc2CdRe crystal.

abc: 5.1958 2.9328 5.6726
angles: 90.00 116.01 90.00
Closest atoms and distances in Å follow each position.
Space group P2/m (No. 10)
Asymmetric unit:
Sc 0.0000 0.0000 0.0000 (multiplicity 1)  2 Cd 2.89, 6 Sc 2.93-3.19, 4 Re 2.98
Sc 0.0000 0.5000 0.5000 (multiplicity 1)  2 Re 2.89, 6 Sc 2.93-3.19, 4 Cd 2.98
Cd 0.5000 0.0000 0.5000 (multiplicity 1)  6 Sc 2.89-2.98, 2 Cd 2.93, 4 Re 3.19
Re 0.5000 0.5000 0.0000 (multiplicity 1)  6 Sc 2.89-2.98, 2 Re 2.93, 4 Cd 3.19

## Properties
- crystal system = monoclinic



# 4
VASP calculation (PBE) on a relaxed ScCd2Re crystal.

abc: 3.9966 3.9966 20.7540
angles: 90.00 90.00 90.00
Closest atoms and distances in Å follow each position.
Space group I-42d (No. 122)
Asymmetric unit:
Sc 0.0000 0.0000 0.0000 (multiplicity 4)  4 Re 2.83, 4 Cd 2.97
Cd 0.2350 0.2500 0.6250 (multiplicity 8)  4 Cd 2.74-2.91, 2 Re 2.93, 2 Sc 2.97
Re 0.0000 0.0000 0.5000 (multiplicity 4)  4 Sc 2.83, 4 Cd 2.93

## Properties
- crystal system = tetragonal
- offset from the most stable computed form (eV per formula unit) = 1.68



Number 1: formation energy from the elements 4.872 kcal/mol of atoms, E_tot -4.941 eV per atom. Number 2: formation energy from the elements 1.091 kcal/mol of atoms, E_tot -6.459 eV per atom. Number 3: formation energy from the elements 4.715 kcal/mol of atoms, E_tot -6.302 eV per atom. Number 4: formation energy from the elements 13.300 kcal/mol of atoms, E_tot -4.576 eV per atom.

=====

VASP calculation (PBE with a Hubbard U) on a relaxed MoO2F crystal.

```
data_MoO2F
_cell_length_a 3.3000
_cell_length_b 3.3000
_cell_length_c 18.1133
_cell_angle_alpha 90.00
_cell_angle_beta 90.00
_cell_angle_gamma 120.00
_space_group_name_H-M_alt 'R -3 m'
_space_group_IT_number 166
_space_group_name_Hall '-R 3 2"'
loop_
_atom_site_label
_atom_site_fract_x
'''
Read the following sections for more advice:
**Someone pasted data records at this point**
-- begin --
# 1
# Li4Dy3ErTe8

Li4Dy3ErTe8 after structural relaxation (PBE-GGA, Alexandria).

a = 8.653 Å, b = 8.653 Å, c = 8.653 Å
α = 60.13°, β = 60.13°, γ = 60.13°
Fractional coordinates of all 16 atoms:
Li: 0.000 0.000 0.000
Li: 0.000 0.500 0.500
Li: 0.500 0.000 0.500
Li: 0.500 0.500 0.000
Dy: 0.000 0.000 0.500
Dy: 0.000 0.500 0.000
Dy: 0.500 0.000 0.000
Er: 0.500 0.500 0.500
Te: 0.249 0.249 0.747
Te: 0.249 0.747 0.249
Te: 0.252 0.252 0.252
Te: 0.253 0.751 0.751
Te: 0.747 0.249 0.249
Te: 0.748 0.748 0.748
Te: 0.751 0.253 0.751
Te: 0.751 0.751 0.253

Computed properties:
total DFT energy (no corrections) = -4.486 eV per atom
formation energy without anion corrections = -1289 meV per atom
total magnetization = 0.0000 μB/atom

***

# 2
# La3Cd2Ga

La3Cd2Ga after structural relaxation (PBE-GGA, Alexandria).

a = 3.833 Å, b = 3.833 Å, c = 11.902 Å
α = 90.00°, β = 90.00°, γ = 90.00°
Fractional coordinates of all 6 atoms:
La: 0.000 0.000 0.000
La: 0.000 0.000 0.348
La: 0.000 0.000 0.652
Cd: 0.500 0.500 0.171
Cd: 0.500 0.500 0.829
Ga: 0.500 0.500 0.500

Computed properties:
total DFT energy (no corrections) = -3.685 eV per atom
total magnetization = 0.0539 μB/atom

***

# 3
# NpAlRuO6

NpAlRuO6 after structural relaxation (PBE-GGA, Alexandria).

a = 5.175 Å, b = 5.175 Å, c = 8.702 Å
α = 90.00°, β = 90.00°, γ = 120.00°
Fractional coordinates of all 18 atoms:
Np: 0.333 0.667 0.250
Np: 0.667 0.333 0.750
Al: 0.333 0.667 0.750
Al: 0.667 0.333 0.250
Ru: 0.000 0.000 0.000
Ru: 0.000 0.000 0.500
O: 0.024 0.346 0.630
O: 0.024 0.678 0.870
O: 0.322 0.346 0.870
O: 0.322 0.976 0.630
O: 0.346 0.024 0.130
O: 0.346 0.322 0.370
O: 0.654 0.678 0.630
O: 0.654 0.976 0.870
O: 0.678 0.024 0.370
O: 0.678 0.654 0.130
O: 0.976 0.322 0.130
O: 0.976 0.654 0.370

Computed properties:
total DFT energy (no corrections) = -8.296 eV per atom
formation energy without anion corrections = -2107 meV per atom
total magnetization = 0.2195 μB/atom

***

# 4
# YMg2Al2

YMg2Al2 after structural relaxation (PBE-GGA, Alexandria).

a = 8.346 Å, b = 8.346 Å, c = 3.080 Å
α = 90.00°, β = 90.00°, γ = 90.00°
Fractional coordinates of all 10 atoms:
Y: 0.000 0.000 0.000
Y: 0.500 0.500 0.000
Mg: 0.123 0.377 0.000
Mg: 0.377 0.877 0.000
Mg: 0.623 0.123 0.000
Mg: 0.877 0.623 0.000
Al: 0.174 0.674 0.500
Al: 0.326 0.174 0.500
Al: 0.674 0.826 0.500
Al: 0.826 0.326 0.500

Computed properties:
total DFT energy (no corrections) = -3.526 eV per atom
distance to the lowest polymorph of the same formula = 96 meV/atom
total magnetization = 0.0000 μB/atom

***

# 5
# VZnNi

VZnNi after structural relaxation (PBE-GGA, Alexandria).

a = 4.164 Å, b = 4.891 Å, c = 7.386 Å
α = 90.00°, β = 90.00°, γ = 90.00°
Fractional coordinates of all 12 atoms:
V: 0.000 0.237 0.000
V: 0.000 0.763 0.000
V: 0.500 0.263 0.500
V: 0.500 0.737 0.500
Zn: 0.000 0.000 0.332
Zn: 0.000 0.000 0.668
Zn: 0.500 0.500 0.168
Zn: 0.500 0.500 0.832
Ni: 0.000 0.500 0.336
Ni: 0.000 0.500 0.664
Ni: 0.500 0.000 0.164
Ni: 0.500 0.000 0.836

Computed properties:
-- stop --
With all of the plan choices, figuring out which policy is best for you and your family can be overwhelming.
LifeQuote offers several features to help make the process of finding the right life insurance as simple and painless as possible. Our easy-to-use calculator helps you to better identify your insurance needs and figure out how much insurance you need and for how long, we have a user-friendly tool to help you every step of the way.
Visit our FAQs about Life Insurance section to get more answers to frequently asked questions.
To compare quotes, simply click get a quote and you will be taken to a page that asks you to complete a form. If you’re unsure of how much coverage you need, or how long the term should be, connect with one of our knowledgeable representatives immediately. You can send us an email or call our licensed agents at (800) 521-7873.